She Sends A Fist Flying

"hi, Caleb" I say, my voice cracking as I tried to stay strong

"what the fuck happened, Vee?, I left you alone for five minutes and then i see you running like a crazed maniac across the hall and... is that blood?" his face turns white says this.

I look down at my white t shirt and I see the blood on it. "it's not mine" I say instinctively. "I bite him on the lip and he bleed out"

"who is 'him'?" he was sitting beside me, inspecting me and checking if I was okay.

"it's... nothing" it's his best friend. I could just say it. he'll think I'm lying and he'll take Alex's side and everything I've worked for to get her with cal would all have been for nothing.

"this isn't nothing... you just told your mom someone sexually assulted you in the boys locker room and you're telling me it's nothing... don't you trust me?" his voice cracks as he asks the question.

"I do... I'm just... I'm scared you won't believe me" tears brim in my eyes and I look down at my hands, I feel disgusting right now

"of course I will, I trust you with my life and I want to make sure who ever hurt you pays" he cups my face in his hands. "i... it's stupid... this isn't even about me but I should have been there, I should have protected you"

"why?" I'm crying again. "you don't have to protect me, I can protect myself"

"I know fucking know that but I'm still scared for you... what if he'd hurt you more than this, what if... " he trails off and looks at the marks on my wrist from where Alex had held me.

"I called my dad... when I'm scared I always call him and it was instinctive, you know... I didn't even think" he was silent as I tell him. "it was like him dying all over again, that was how it felt"

"I can't claim to get, i don't... but if I ever lost any of my dad's, I don't think I'd make it... I'd hate the world for moving on and I'd hate me for not" his hand is in mine, playing with my fingers and distracting me. "it's okay that you called, it's okay"

"I feel so fucking disgusting right now" I voice.

"Don't ever say that again! you are not disgusting, you are beautiful.. even now, you're beautiful. from your eyes to your button nose, to your lips to all of you. you are beautiful" he says fiercely and I hold my breath. "it's the person that hurt you that is"

"it was Alex" I whisper. I know he heard, the way his nostrils flare and his eyes go a shade darker, I know he hears me.

"I was getting ready for gym and he started talking about you meeting up with me at the ice cream place, down town and when I didn't say anything he got upset and... and... I told him to stop... I tried to... " I burst into tears. I holds me. he hugs me tight to himself and just holds me.

"it's not your fault"

"damn straight, it isn't!" I turn and I see mom. she's in her blue scrubs she had her hair tied in a messy bun and it looked like she'd been crying. "come here"

I dislodge from Caleb and run to my mother, holding unto her tight. "it's okay, it's okay" she mutters. she pulls away from me and looks me in the eyes. "I will destroy the bastard that hurt, I will burn him to the ground" she says, her anger radiating in every word.

she holds me tight and leads me across the field to her car.

"how'd you know I was here?" i ask as we walk

"it's where your dad always found you, remember?" she opens the passenger seat and helps me in, shutting the door. as she steps away, I see Caleb standing there, worry clouding his face.

"I'll be okay" I whisper to him. he steps closer to the car, he's close enough that I can lean in and kiss him. so I do, I kiss him softly and then I pull away "thank you" he slides a hand up my cheek.

"I'll see you when I do"

"you'll see me tommorow... I'm not hiding this, I want everyone to know what Alex tried to do to me and I want everyone to know I kicked his goddamn ass" my pity party was over and all that was left was burning hot rage.

Caleb laughs, his laugh is humorless. "yeah you did, and you've got the blood on your shirt to prove it" he says and leans in and kisses me again, this time it's longer and it's fierce and I know he's pissed but I also know he wants me to be okay. "I'll support you no matter what you choose to do... you know I will"

"I do"

he steps away from the car and waves. "bye"

I wave back. "bye"

as we drive away, I finally turn and face mom.

"we're going to the hospital" mom says after looking me up and down.

"I'm fine, it's not my blood, it's his" I tell her. "I fought, I kicked him in the balls and I tore his stupid lip... it's his blood!"

## Unrelated to this text: quantum chemistry results
<<<
[1]
Computed, not measured: an isolated molecule of C3H7N3O, with wB97M-V/def2-TZVPD.

Results
ΔE to the lowest compared entry with this formula, charge and spin ... 24.0 kcal/mol
HOMO energy ... -9.4 eV
Structure (SMILES) ... [H]/N=C(/N)C(=O)CN
DFT total energy ... -358.011617 Ha
Multiplicity ... 1
LUMO energy ... 0.73 eV

Last column: Löwdin charge in e.
CARTESIAN COORDINATES (ANGSTROEM)
H 1.650 -1.273 -1.523  0.05
N 0.783 -1.017 -1.982  0.14
C 0.081 -0.164 -1.359  -0.48
N -1.140 0.207 -1.834  0.13
C 0.457 0.403 -0.009  -0.35
O 1.279 1.274 0.148  0.11
C -0.238 -0.290 1.159  -0.22
N 0.165 0.177 2.466  0.00
H -1.339 -0.087 -2.778  0.10
H -1.518 1.095 -1.551  0.10
H -0.051 -1.366 1.084  0.13
H -1.317 -0.141 1.041  0.12
H 1.154 0.000 2.607  0.07
H 0.035 1.182 2.529  0.07

Forces on atoms 1 to 6 (eV/Å):
0.0 0.2 0.2
0.0 -0.2 -0.3
0.5 0.0 -0.2
-0.4 0.2 0.0
0.1 -0.2 0.4
-0.2 -0.2 -0.2

[2]
Computed, not measured: C21H32N7O2SY as an isolated structure at a distorted geometry, with wB97M-V/def2-TZVPD.

Results
ΔE to the lowest compared entry with this formula, charge and spin ... 20.5 kcal/mol
HOMO energy ... -13.0 eV
Total charge ... +2
DFT total energy ... -1789.308084 Ha
Multiplicity ... 1
LUMO energy ... -5.86 eV

Last column: Löwdin charge in e.
CARTESIAN COORDINATES (ANGSTROEM)
Y -0.489 -0.279 -0.095  1.55
N -1.961 0.379 -2.411  -0.03
C -2.240 1.809 -2.297  -0.23
C -1.010 2.701 -2.206  -0.17
N -0.068 2.361 -1.111  -0.20
C -0.186 3.366 -0.020  -0.17
C -1.308 3.061 0.992  -0.21
N -1.275 1.653 1.472  -0.03
C 1.305 2.204 -1.669  -0.17
C 1.502 0.997 -2.630  -0.20
N 1.221 -0.312 -1.991  -0.05
H -1.590 0.127 -3.336  0.10
H -2.831 -0.154 -2.234  0.09
H -2.776 1.949 -1.354  0.11
H -2.868 2.214 -3.099  0.13
H -1.438 3.665 -2.016  0.12
H -0.444 2.803 -3.144  0.13
H -0.309 4.398 -0.421  0.14
H 0.810 3.372 0.514  0.12
H -2.293 3.275 0.515  0.12
H -1.277 3.785 1.841  0.14
H -2.170 1.485 1.928  0.10
H -0.599 1.579 2.237  0.07
H 2.026 2.191 -0.869  0.10
H 1.588 3.106 -2.289  0.15
H 2.533 1.088 -3.007  0.14
H 0.819 1.034 -3.483  0.11
H 2.124 -0.669 -1.628  0.05
H 0.967 -1.005 -2.708  0.10
S 3.838 -1.137 0.342  1.11
C 3.885 0.369 1.213  -0.46
C 5.014 1.025 1.737  -0.07
C 4.817 2.187 2.461  -0.05
C 3.492 2.713 2.622  -0.04
C 2.403 1.975 2.223  -0.06
C 2.575 0.826 1.479  -0.32
N 1.591 -0.158 1.205  -0.04
C 2.112 -1.345 0.812  -0.49
C 1.280 -2.552 0.733  -0.32
C 1.815 -3.775 0.270  -0.05
C 1.083 -4.922 0.552  -0.07
C -0.125 -4.832 1.285  -0.06
C -0.666 -3.594 1.618  -0.13
C -0.084 -2.442 1.128  -0.19
H 6.021 0.647 1.586  0.12
H 5.679 2.756 2.942  0.14
H 3.394 3.663 3.180  0.12
H 1.362 2.157 2.470  0.10
H 2.815 -3.828 -0.127  0.10
H 1.516 -5.926 0.275  0.13
H -0.671 -5.725 1.518  0.11
H -1.493 -3.568 2.323  0.11
C -4.945 -1.704 1.540  0.01
O -4.393 -2.530 0.448  0.00
C -3.229 -2.043 -0.017  -0.52
O -2.740 -0.925 0.301  -0.11
N -2.578 -2.916 -0.840  0.07
N -1.293 -2.525 -1.423  0.03
H -5.885 -2.220 1.825  0.11
H -5.158 -0.686 1.173  0.10
H -4.242 -1.755 2.404  0.11
>>>

"then we're going to the police station" she announces. "if you want him to pay, like you said... we're going to the police station and we're reporting that piece of shit for sexually assult" she looks at me. "you do want that, right?"

"yeah, I do"

she suddenly places her hand on the horn and let's it stay there. the car honks for a full thirty seconds before she finally stops. "I raised a god damn warrior" I smile because that's my god damn mother.

I'm about to say as much when my phone pings. I look down and it's a text from Quinn.

"who is he?" it reads.

"you told Quinn?!" I exclaim.

"she called to ask what I wanted for dinner and she heard me crying and she asked what was wrong and I told her, did you not want me to?" she explained and asked me.

"I want her to know but I wanted to tell her" I sigh and look at my phone again as it pings yet again

"Don't fucking ghost me, tell me who he is" she sent again.

"His name is Alex, he's a senior and he tried to assult me in the school gym while we were both changing for gym" I send to her.

I wait for her to text me but she doesn't so i switch off my phone and put it down because today's going to be a rough day and so is tommorow.

Amber's point of view

Shawn and I walked towards the gym with Sophie Cheng. we'd finished our classes earlier and we were heading up to gym to go pick up Vee for our next class. we'd run into Sophie on the way here and she's been interrogating us on why Vee didn't quit the game.

"... I'm just saying, he could have quit!" Sophie has been relentless. she doesn't stop, once one question ends, it's followed with another. "he's only doing it for the atte-"

"do not finish that sentence!" I finally snap. "why didn't you quit the damn game huh?... you don't see anyone questioning your discussion and you don't have the right to question vee's!. do us both a favor and leave Vee's name out of your damn mouth!!" Shawn taps my shoulder. "what?!"

"first off, Don't do that with me, I don't like being yelled at!" he snaps.

"I'm sorry" he nods his approval of my apology

"and secondly, what is she doing here?" he's pointing forward and I see who he's talking about.

it's Quinn. she's wearing tan colored short shorts, a long sleeve t-shirt and a pair of doc Martin's. her plaid jacket is tied around her waist and her school bag is hung on her shoulder.

she's walking towards us and she's taking off all her Jewelry as she walks. her face says she's pissed but when she's right in front of me, it says she's close to murdering someone.

all her Jewelry is off and her wrist, fingers and ears are bare. "hold these" she gives every thing to me, her Jewelry, her backpack and her jacket to me, I take it because I'm too scared to even ask.

she pushes the gym door slightly open and looks inside. "Quin-"

"point Alex out" she bites out her anger radiating and I instantly know something is wrong with Xavier. she can never get this upset over anything but Xavier.

I look in the gym and see Vee isn't there. he hates gym but he's also way too scared of the teachers to skip any class at all. "where's Vee?"

"Maddie, POINT. ALEX. OUT" she's not herself right now and I'm very much scared so I point him out. "thanks"

she rolls up her sleeve as she walks in.

"young lady, I don't know you but if you're in my class, you shouldn't be coming now" she completely ignores him and goes straight for Alex.

I see it coming but I'm pretty sure no one else does especially Alex because he was talking to Micheal Palmer.

she goes to him and taps him on the shoulder

"yeah?" he says as he turn to look at her. The second his eyes are on hers, she sends a fist flying and it connects with his jaw with a loud crack. Alex is so shocked that he stumbles back and lands ass first on the floor. "what the fuck?!!"

within a second, she's on him. she sits on his stomach and delivers punch after punch all aimed at his face.

"hey, stop her!!!" Sophie screams.

someone starts filming the scene and a few guys go and try to stop her but she is un - fucking - stoppable.

"Hey" Micheal Palmer is besides me.

"aren't you gonna stop her?!" it's Sophie, she looks panicked but I doubt she will move

"and let her ruin my pretty face? no, thank you" Micheal replies. Shawn laughs at the joke and stops when Micheal looks at him

I watch as coach grabs Quinn and manages to hurl her off him. "let go of me!!" she screams at the top of her lungs. she manages to break out of coaches hold but she doesn't go for Alex again. she looks at him and says. "we are not even yet, not even close"

as she walks out and starts taking her Jewelry, Sophie goes for her but Caleb Keller blocks her.

"what are-"

"Don't, Alex deserves every bit of what she did to him, and more" He says glaring at Alex as people try to help him up.

"Thanks, Keller, I owe you lunch" Quinn say and stalks off.

"what the hell did Alex do to Xavier?!!" I ask Keller.

"Xavier doesn't want it to be secret..." he turns to me. "Alex tried to to sexually assult Vee in the boy's locker room" I think he sees the panic in my eyes. "he went with his mom, she taking him home, he's fine, he'll be fine" he reassures me. "go help Quinn, I don't think she is"

I nod and run after Quinn.

how could today get so bad so fast